@CraftComputing is right:
#Documentation is key and @Raspberry_Pi basically owns every "competitor" because #Discord is not a valid excuse or replacement for writing actual documentatation because it has inacceptable ToS & is #loginwalled aka. not searchable.
I'd rather make a #StackOverflow account and post a noob question than ever use discord!
#stackoverflow #loginwalled #Discord #Documentation
@christiansilvermooon +9001%
#Discord is one of the WORST TOOLS EVER since it's #bloated like #Windows, unsearchable like #Slack, full of illegal tracking shit like #MicrosoftTeams and doesn't add any value compared to #IRC or #Zulip + #Mumble or #JitsiMeet.
Espechally if people abuse it for things that it was never good in, like #IssueTracking, #Support, #Documentation etc.
Everyone who even suggests using Discord for that is an ableist asshole who loves #LoginWalls and should be banned!
#loginwalls #Documentation #support #issuetracking #JitsiMeet #mumble #zulip #IRC #MicrosoftTeams #Slack #Windows #bloated #Discord
@epsi +9001%
#Discord also has unacceptable #ToS and is purposefully designed with neither #searchability, #indexability or #accessibility in mind.
Replacing #IssueTracker, #Support and/or (effectively non-existing) #Documentation with a shitty Discord instance is just blatant assholeism and everyone who does even consider doing so in lieu of #GitHub, #GitLab or god forbid even #Savannah and #SpurceForce should be banned from #FLOSS #Project and #CommunityManagment!
#CommunityManagment #Project #FLOSS #spurceforce #savannah #GitLab #GitHub #Documentation #support #IssueTracker #Accessibility #indexability #searchability #tos #Discord
@trashheap Fact is that @Raspberry_Pi didn't create a de-facto monopoly in #ARM #SBC's because they are particulary good in terms of performance or price, but because they nailed #documentation.
That takes time and effort and cheap copycats that just vomit out some SBCs and some images to boot from won't be able to compete.
Worse are only those folks that literally abuse #Discord as #IssueTracker and #Support system for #FLOSS in lieu of #Issues of #Github / #GitLab and an actual #documentation!
#Documentation #GitLab #GitHub #issues #FLOSS #support #IssueTracker #Discord
@poofdyke +9001%
#Discord has unacceptably bad ToS, abysmal performince, is bloaty af and it doesn't replace proper Documentation!
If people are too lazy to do #SelfHosting, there's #github, #gitlab, #readtehdocs.io and many more options to just shove some #Markdown files onto.
Every Project that uses Discord in lieu of proper #IssueTracker, #BugReporting and #Documentation is a "can't use & won't use" for me - period!
Espechally when even for organizing there are superior options...
#Documentation #bugreporting #IssueTracker #markdown #readtehdocs #GitLab #GitHub #SelfHosting #Discord
@dysfun @astrid not to mention raw performance isn't everything...
Shure the #BananPiZeroM2 blows the @Raspberry_Pi #Pi0W out of the water spec-wise, but in terms of #documentation and #Software #Support it's completely falling flat on it's face!
#support #Software #Documentation #Pi0W #bananpizerom2
Automotive documentation is something else!
Original document here, if you really want to read about tilt steering columns: https://www.crankshaftcoalition.com/wiki/images/d/d6/Jazzman_Steering_Rack_Rebuild.pdf
#repair #DIY #Cars #Documentation
When I join a new development team, I read through the codebase for a day or two and I note down ask questions to ask. If there is documentation (ha!), I read through that as well.
All too often, conversations follow this format:
Me: “How do I get this non-working feature to work?”
Them: “Oh, just do [completely non-documented thing] instead.”
Why are teams like this? And the answer isn’t “Because time!”
I always have to make time for it. So, you can, too.
#Documentation #webdevelopment
@technomancy well, it's true....
#Discord is shit and adds no value compared to #IRC, #XMPP, #Mumble, #Zulip, #JitsiMeet and espechally doesn't replace #documentation and #manpages....
#manpages #Documentation #JitsiMeet #zulip #mumble #XMPP #IRC #Discord
@ahriboy @TomLarrow +9001%
I instantly delete any requests for one amd point at #documentation.
Repeat offenders get banned from projects' issue tracker and contributions.
@TomLarrow +9001%
If a #FLOSS project doesn't do proper #documentation - even if it's just a single manpage - I'll not use it and espechally not join any shitty #SingleVendor / #SingleProvider solution with unacceptable ToS like #Discord that add 0 advantages and only disadvantages compared to #IRC to the table.
#IRC #Discord #SingleProvider #singlevendor #Documentation #FLOSS
@alyssa I'm shure @lina and @marcan are also on that.
Don't forget to add a #DragonBook to @AsahiLinux #documentation when you're successful!
@maikelthedev I mean I know why #developers love to release #apps for #Apple devices:
- #documentation is excellent
- #native #UI looks good
- Apple device owners are most able and willing to pay for software and least likely to pirate it.
- The very few #devices [less than two dozen are supported at any time] make it a breeze to diagnose, troubleshoor, fix and #support stuff.
- it's easy and cheaper just start making an app for #macOS than #Windows.
#Windows #macOS #support #devices #ui #native #Documentation #Apple #Apps #developers
We're making the photo booth / light box for photo documentation of my daughter's work/crafts. I'm plastering the inside with white paper and Z will decorate the outside once I'm done. I reckon it'll be done by tomorrow. Can't wait to start using it.
#homeschooling #documentation #lightbox #photobooth #diy
#DIY #photobooth #lightbox #Documentation #homeschooling
We're making the photo booth / light box for photo documentation of my daughter's work/crafts. I'm plastering the inside with white paper and Z will decorate the outside once I'm done. I reckon it'll be done by tomorrow. Can't wait to start using it.
#homeschooling #documentation #lightbox #photobooth #diy
#DIY #photobooth #lightbox #Documentation #homeschooling
a little note from computing history. Sometimes OS makers had fun...
I especially appreciate the #documentation note that the value returned by `is_computer_on` is undefined.
and yes, these two functions really were implemented in #BeOs. I don't think `is_computer_on_fire` made it to #HaikuOS which i find very sad.
I remember a number of utilities that you could run to check if your BeOS 🖥️ was on 🔥
Problematic Developer docs of the day:
Google Wallet Event Ticket Object: https://developers.google.com/wallet/tickets/events/rest/v1/eventticketobject
Some fields are marked required.
Some fields are marked optional.
Some fields aren't marked with either designation!!!
Are undesignated fields optional?! are they required?! 🤷♀️ Who knows you'll have to execute the full pipeline of code to find out!
@nix @kbarker @originalg I think it's vital to have "blind testing" by "tech illiterate" [no offense!] people to cross-check stuff...
In fact I do regularly cross-check my #Documentation - espechally in regards to #DisasterRecovery - by someone unrelated so they can test this out step-by-step and evaluate accuracy.
-- Calculated crystals, kept here for reference --
1.
A relaxed Fe4CoSiB2 crystal, computed with PBE.

extended XYZ file:
```
16
Lattice="5.475 0.000 0.000 0.000 5.475 0.000 -2.738 -2.738 5.145" Properties=species:S:1:pos:R:3 pbc="T T T"
B 2.075 4.813 0.000
B 0.663 2.075 0.000
B 3.400 0.663 0.000
B 4.813 3.400 0.000
Fe 0.909 1.829 3.736
Fe 3.647 4.566 1.409
Fe 1.829 -0.909 3.736
Fe 1.829 0.909 1.409
Fe -1.829 0.909 3.736
Fe 4.566 1.829 1.409
Fe 0.909 3.647 1.409
Fe -0.909 -1.829 3.736
Co 0.000 0.000 0.000
Co 2.738 2.738 0.000
Si 0.000 0.000 2.573
Si 2.738 2.738 2.573
```

Summary:
**DFT formation energy**: -338 meV/atom
**Density**: 7.1 Mg/m³
**Magnetization**: 7.1 μB per formula unit
**SG**: I4/mcm

2.
A relaxed SmFe2Co2B crystal, computed with PBE.

extended XYZ file:
```
12
Lattice="3.579 0.390 3.620 4.936 -0.777 -1.197 0.711 6.704 -1.423" Properties=species:S:1:pos:R:3 pbc="T T T"
Sm 3.929 3.693 2.919
Sm 3.581 0.406 3.616
Co 6.253 1.945 2.609
Co 1.995 2.131 1.399
Co 4.464 1.750 0.799
Co 2.296 4.970 0.796
Fe 5.672 -0.236 1.617
Fe 2.847 -0.111 0.797
Fe 6.554 4.778 2.008
Fe 4.764 4.583 0.198
B 6.040 3.068 0.899
B 3.181 3.203 0.111
```

Summary:
**DFT formation energy**: -241 meV/atom
**Density**: 8.3 Mg/m³
**Magnetization**: 5.5 μB per formula unit
**SG**: Cmm2

3.
A relaxed YFeCo3B crystal, computed with PBE.

extended XYZ file:
```
12
Lattice="5.035 0.000 0.000 -2.517 4.360 0.000 0.000 0.000 6.825" Properties=species:S:1:pos:R:3 pbc="T T T"
Fe 2.517 1.453 0.000
Fe 0.000 2.907 0.000
B 0.000 2.907 3.413
B 2.517 1.453 3.413
Co -1.259 2.180 4.873
Co 1.259 2.180 1.952
Co 1.259 2.180 4.873
Co -1.259 2.180 1.952
Co 2.517 0.000 4.873
Co 2.517 0.000 1.952
Y 0.000 0.000 0.000
Y 0.000 0.000 3.413
```

Summary:
**DFT formation energy**: -319 meV/atom
**Density**: 7.4 Mg/m³
**Magnetization**: 4.4 μB per formula unit
**SG**: P6/mmm

4.
A relaxed GdCo4B crystal, computed with PBE.

extended XYZ file:
```
12
Lattice="-0.618 1.947 4.604 -1.669 -4.642 -1.016 6.015 -2.578 1.897" Properties=species:S:1:pos:R:3 pbc="T T T"
Co 3.969 -0.860 3.651
Co -1.319 -2.446 0.857
Co 0.902 -3.066 0.040
Co 3.134 -3.181 3.143
Co 0.594 -2.092 2.342
Co -0.968 -0.250 2.731
Co 3.443 -4.155 0.841
Co 1.428 0.229 2.850
Gd 3.007 -1.289 0.948
Gd 0.000 0.000 0.000
B 2.039 -1.539 3.679
B 1.689 -3.735 1.806
```

Summary:
**DFT formation energy**: -277 meV/atom
**Density**: 9.0 Mg/m³
**SG**: P6/mmm

Please write out number 1 again, unchanged.
A relaxed Fe4CoSiB2 crystal, computed with PBE.

extended XYZ file:
```
16
Lattice="5.475 0.000 0.000 0.000 5.475 0.000 -2.738 -2.738 5.145" Properties=species:S:1:pos:R:3 pbc="T T T"
B 2.075 4.813 0.000
B 0.663 2.075 0.000
B 3.400 0.663 0.000
B 4.813 3.400 0.000
Fe 0.909 1.829 3.736
Fe 3.647 4.566 1.409
Fe 1.829 -0.909 3.736
Fe 1.829 0.909 1.409
Fe -1.829 0.909 3.736
Fe 4.566 1.829 1.409
Fe 0.909 3.647 1.409
Fe -0.909 -1.829 3.736
Co 0.000 0.000 0.000
Co 2.738 2.738 0.000
Si 0.000 0.000 2.573
Si 2.738 2.738 2.573
```

Summary:
**DFT formation energy**: -338 meV/atom
**Density**: 7.1 Mg/m³
#disasterrecovery #Documentation
3. Yeah, the :thinking_rms: neckbeards are to blame for that to some extent.
4. I should really make something like "Ubuntu for #TechIlliterates" [no offense to those!] and actually write #documentation and make tutorials...
Sadly, #YouTube's #AdPocalypse killed that for me.
#adpocalypse #YouTube #Documentation #TechIlliterates